# Given
┌──
# 1
{"formula": "C10H14O5Zn", "method": "wB97M-V/def2-TZVPD", "gap_ev": 5.56, "relative_energy_kj_mol": 39.8, "charge": 2, "lumo_energy_ev": -9.7, "elements": ["Zn", "O", "C", "C", "O", "C", "O", "C", "O", "C", "H", "H", "C", "H", "H", "C", "C", "O", "C", "C", "H", "H", "H", "H", "H", "H", "H", "H", "H", "H"], "coordinates": [[0.003, 0.009, -0.275], [0.155, 3.187, 0.372], [0.117, 2.090, 0.091], [-0.115, -2.092, -0.087], [-0.161, -3.207, 0.102], [2.063, -0.083, -0.091], [3.212, -0.152, 0.048], [-2.061, 0.093, -0.136], [-3.211, 0.152, -0.024], [0.033, 0.677, -5.206], [-0.878, 1.291, -5.161], [0.998, 1.200, -5.141], [-0.031, -0.668, -5.263], [0.879, -1.285, -5.246], [-0.996, -1.194, -5.267], [1.761, -0.353, 3.728], [0.802, -1.063, 2.770], [-0.028, -0.092, 2.109], [-0.848, 0.845, 2.828], [-1.794, 0.086, 3.759], [2.417, 0.326, 3.166], [2.383, -1.140, 4.183], [1.216, 0.193, 4.502], [1.343, -1.606, 1.979], [0.111, -1.772, 3.259], [-0.153, 1.531, 3.345], [-1.399, 1.428, 2.073], [-1.239, -0.499, 4.498], [-2.412, 0.847, 4.260], [-2.453, -0.565, 3.169]], "mulliken_charge": [0.3172, -0.0574, 0.3644, 0.3622, -0.0523, 0.4756, -0.0858, 0.4826, -0.0847, -0.5367, 0.2714, 0.2734, -0.5182, 0.2697, 0.2695, -1.1649, -0.5452, -0.0983, -0.5311, -1.1981, 0.3025, 0.4366, 0.3225, 0.4271, 0.3971, 0.4030, 0.4272, 0.3248, 0.4354, 0.3102]}

***

# 2
{"formula": "C4H12", "method": "wB97M-V/def2-TZVPD", "multiplicity": 2, "gap_ev": [2.88, 12.26], "relative_energy_kj_mol": 20.6, "charge": -1, "lumo_energy_ev": [4.4, 4.5], "elements": ["C", "C", "H", "H", "H", "H", "H", "H", "C", "C", "H", "H", "H", "H", "H", "H"], "coordinates": [[0.869, -2.065, -0.817], [-0.145, -1.685, -1.875], [0.716, -1.411, 0.032], [0.783, -3.117, -0.552], [1.872, -1.799, -1.155], [-0.106, -2.425, -2.682], [0.186, -0.772, -2.378], [-1.119, -1.530, -1.417], [-0.460, 1.339, 1.880], [-0.272, 2.435, 0.838], [-1.128, 1.641, 2.682], [-0.898, 0.473, 1.369], [0.457, 1.003, 2.360], [-0.227, 3.429, 1.280], [-1.182, 2.498, 0.236], [0.570, 2.259, 0.169]], "mulliken_charge": [-0.9253, -1.9335, -0.1250, 0.4914, 0.4531, 0.3948, 0.4563, 0.8441, -2.3701, -1.9284, 0.9949, 0.1897, 0.7135, 0.5110, 0.6957, 0.5378]}

***

# 3
└──

# Job
Could you print everything earlier on character by character?

# Reply
# 1
{"formula": "C10H14O5Zn", "method": "wB97M-V/def2-TZVPD", "gap_ev": 5.56, "relative_energy_kj_mol": 39.8, "charge": 2, "lumo_energy_ev": -9.7, "elements": ["Zn", "O", "C", "C", "O", "C", "O", "C", "O", "C", "H", "H", "C", "H", "H", "C", "C", "O", "C", "C", "H", "H", "H", "H", "H", "H", "H", "H", "H", "H"], "coordinates": [[0.003, 0.009, -0.275], [0.155, 3.187, 0.372], [0.117, 2.090, 0.091], [-0.115, -2.092, -0.087], [-0.161, -3.207, 0.102], [2.063, -0.083, -0.091], [3.212, -0.152, 0.048], [-2.061, 0.093, -0.136], [-3.211, 0.152, -0.024], [0.033, 0.677, -5.206], [-0.878, 1.291, -5.161], [0.998, 1.200, -5.141], [-0.031, -0.668, -5.263], [0.879, -1.285, -5.246], [-0.996, -1.194, -5.267], [1.761, -0.353, 3.728], [0.802, -1.063, 2.770], [-0.028, -0.092, 2.109], [-0.848, 0.845, 2.828], [-1.794, 0.086, 3.759], [2.417, 0.326, 3.166], [2.383, -1.140, 4.183], [1.216, 0.193, 4.502], [1.343, -1.606, 1.979], [0.111, -1.772, 3.259], [-0.153, 1.531, 3.345], [-1.399, 1.428, 2.073], [-1.239, -0.499, 4.498], [-2.412, 0.847, 4.260], [-2.453, -0.565, 3.169]], "mulliken_charge": [0.3172, -0.0574, 0.3644, 0.3622, -0.0523, 0.4756, -0.0858, 0.4826, -0.0847, -0.5367, 0.2714, 0.2734, -0.5182, 0.2697, 0.2695, -1.1649, -0.5452, -0.0983, -0.5311, -1.1981, 0.3025, 0.4366, 0.3225, 0.4271, 0.3971, 0.4030, 0.4272, 0.3248, 0.4354, 0.3102]}

***

# 2
{"formula": "C4H12", "method": "wB97M-V/def2-TZVPD", "multiplicity": 2, "gap_ev": [2.88, 12.26], "relative_energy_kj_mol": 20.6, "charge": -1, "lumo_energy_ev": [4.4, 4.5], "elements": ["C", "C", "H", "H", "H", "H", "H", "H", "C", "C", "H", "H", "H", "H", "H", "H"], "coordinates": [[0.869, -2.065, -0.817], [-0.145, -1.685, -1.875], [0.716, -1.411, 0.032], [0.783, -3.117, -0.552], [1.872, -1.799, -1.155], [-0.106, -2.425, -2.682], [0.186, -0.772, -2.378], [-1.119, -1.530, -1.417], [-0.460, 1.339, 1.880], [-0.272, 2.435, 0.838], [-1.128, 1.641, 2.682], [-0.898, 0.473, 1.369], [0.457, 1.003, 2.360], [-0.227, 3.429, 1.280], [-1.182, 2.498, 0.236], [0.570, 2.259, 0.169]], "mulliken_charge": [-0.9253, -1.9335, -0.1250, 0.4914, 0.4531, 0.3948, 0.4563, 0.8441, -2.3701, -1.9284, 0.9949, 0.1897, 0.7135, 0.5110, 0.6957, 0.5378]}

***

# 3